The first round of EDGE grant applications for 2025 is now open.

Applications for 1st round of EDGE Grant Competition ’25 open until Feb. 28

Jarek RutzHeadlines, Business

The Delaware Division of Small Business (DSB) is now accepting applications for the first round of its 2025 EDGE Grant Competition. Small business owners in Delaware with fewer than seven years in operation and 10 or fewer employees are invited to apply for funding opportunities to help grow and expand their businesses. “Many businesses struggle with the lack of access …

Fall 2024 EDGE Grant winners

Update: 2025 EDGE Grant info webinar set for Jan. 22nd

Peter OsborneBusiness, News Briefs, RSS-Business, Town Square Live

The Delaware Division of Small Business (DSB) will hold an online information session for its EDGE Grant program on Wednesday, Jan. 22, at 10 a.m. to help potential applicants prepare for applications for its February funding round. EDGE stands for the Encouraging Development, Growth, and Expansion (EDGE) program. a competition for grant funding. Five STEM-based (science/technology/engineering/math) companies can each receive …

back wages

$50 Million ‘Build to Scale’ Funding Opportunity Aims to Boost Technology Entrepreneur Ecosystems

Terry RogersBusiness, Headlines, Milford Headline Story

The U.S. Economic Development Administration (EDA) is accepting applications for its FY24 $50 million Build to Scale program to support organizations that strengthen entrepreneurial ecosystems to support entrepreneurs as they build and scale technology-driven businesses—and the employees in the new, good jobs they create—to make and deliver new technology products and services. Build to Scale (B2S) grants fund programs that support innovators, …

Inserted here: crystal structures:
____________
Density functional theory data (PBE+U) for a relaxed structure of Ni4P3O12.

extended XYZ file:
```
38
Lattice="-3.3040 3.3040 9.1848 3.3040 -3.3040 9.1848 3.3040 3.3040 -9.1848" Properties=species:S:1:pos:R:3 pbc="T T T"
Ni 1.6520 1.6732 -2.2962
Ni 0.0000 0.0000 4.1699
Ni 4.9348 1.6520 2.2962
Ni 0.0000 3.3040 0.4225
Ni 1.6520 1.6308 6.8886
Ni 0.0000 0.0000 14.1997
Ni -1.6308 1.6520 11.4810
Ni 0.0000 3.3040 8.7622
P 0.0000 0.0000 0.0000
P 1.6520 -0.9916 6.8886
P 2.3124 1.6520 2.2962
P 1.6520 4.2956 -2.2962
P 0.0000 3.3040 4.5924
P 0.9916 1.6520 11.4810
O 1.2858 0.3761 -0.7883
O 2.9026 -1.8206 6.5042
O 5.1246 -0.4015 2.6806
O 3.7055 1.4834 -1.9118
O 1.4834 0.4015 2.6806
O 2.9279 -2.0183 9.9730
O 3.3142 1.3551 1.1244
O 1.9490 3.2939 -3.4680
O 1.3551 0.0101 5.7168
O 1.3551 3.2939 -1.1244
O 1.9490 0.0101 8.0604
O 3.3142 1.9490 3.4680
O -0.3761 2.0183 3.8041
O 1.4834 2.9026 1.9118
O 3.7055 1.8206 6.5042
O 1.8206 0.4015 11.0966
O -0.4015 1.8206 7.2730
O 1.2858 2.9279 5.3806
O 0.3761 5.3223 0.7883
O -1.2858 3.6801 5.3806
O -0.0101 1.9490 10.3092
O -0.0101 1.3551 12.6528
O 2.0183 2.9279 8.3965
O 0.3761 4.5898 3.8041
```

Properties
Space group: I-42d, No. 122
Calculated density in g/cm³: 4.3
DFT formation energy in eV/atom: -2.05

* * * * *

# 1
Here is a relaxed structure of SmTiNbBi2O9 from Materials Project. Energies are from GGA-PBE.

POSCAR file:
```
SmTiNbBi2O9
1.0
5.440 0.000 0.000
0.000 5.489 0.000
-2.640 0.000 12.660
Sm Ti Nb Bi O
2 2 2 4 18
Cartesian
-1.320 0.000 12.659
4.121 2.744 0.001
1.372 2.941 2.173
1.428 0.197 10.487
-1.233 2.967 10.498
4.033 0.222 2.162
-1.472 0.013 7.629
1.270 0.003 5.049
1.530 2.748 7.612
4.273 2.758 5.031
-0.205 4.235 1.554
-1.682 3.002 8.662
0.225 1.502 1.550
0.019 4.190 6.354
0.070 1.454 6.353
0.973 2.997 3.929
-0.819 3.172 12.645
-0.234 4.752 10.474
0.410 1.975 10.470
2.391 4.719 2.190
3.035 2.007 2.186
3.620 0.427 0.015
1.827 0.253 8.731
2.731 4.199 6.307
2.782 1.445 6.307
2.576 4.247 11.110
4.483 0.258 3.998
3.006 1.491 11.107
```

Summary:
crystal system	monoclinic
calculated formation energy	-2862	meV per atom
uncorrected energy	-7.78	eV per atom
magnetization	0.0	μB/f.u.

# 2
Here is a relaxed structure of NbBiTe2O8 from Materials Project. Energies are from GGA-PBE.

POSCAR file:
```
NbBiTe2O8
1.0
5.689 0.000 0.000
0.000 8.228 0.000
0.000 0.000 31.936
Nb Bi Te O
8 8 16 64
Cartesian
1.335 0.459 6.684
1.335 3.655 22.652
1.509 4.573 6.684
1.509 7.769 22.652
4.180 0.459 9.284
4.180 3.655 25.252
4.354 4.573 9.284
4.354 7.769 25.252
1.170 1.126 30.656
1.170 2.988 14.688
1.674 5.240 30.656
1.674 7.102 14.688
4.015 1.126 17.248
4.015 2.988 1.280
4.519 5.240 17.248
4.519 7.102 1.280
1.332 1.071 2.524
1.332 3.043 18.492
1.347 5.184 26.693
1.347 7.158 10.725
1.497 1.070 26.693
1.497 3.044 10.725
1.512 5.185 2.524
1.512 7.157 18.492
4.177 1.071 13.444
4.177 3.043 29.412
4.192 5.184 21.211
4.192 7.158 5.243
4.342 1.070 21.211
4.342 3.044 5.243
4.357 5.185 13.444
4.357 7.157 29.412
0.017 0.085 5.063
0.017 4.029 21.031
____________

GandR EDGE GRant

Delaware Small Business announces two summer webinars

Terry RogersBusiness, Government, Headlines, Milford Headline Story

For businesses looking for retirement programs for their employees, Delaware EARNS is an option that can allow them to create such programs. Delaware EARNS is a retirement savings program for private-sector workers who don’t have access to a plan through their employer. The webinar is scheduled for Wednesday, July 17 from 12 Noon until 1 PM. “This is a webinar …

Downtown River

Milford sees business growth

Terry RogersBusiness, Headlines, Milford Headline Story

(These calculated crystals were left in the article by mistake)
- - -
Compound: Ca2TaTiO6
Source: Materials Project
Functional: PBE
Structure: relaxed

a b c (Å): 5.4768 7.8228 5.6353
angles (deg): 90.00 90.05 90.00
With the nearest neighbours (Å) after each atom.
Element x y z (fractional)
Ca  0.0104  0.2500  0.0433  6 O 2.37-2.65
Ca  0.4882  0.2500  0.5608  6 O 2.37-2.59
Ca  0.5118  0.7500  0.4392  6 O 2.37-2.59
Ca  0.9896  0.7500  0.9567  6 O 2.37-2.65
Ta  0.0000  0.0000  0.5000  6 O 2.01-2.02
Ta  0.0000  0.5000  0.5000  6 O 2.01-2.02
Ti  0.5000  0.0000  0.0000  6 O 2.01-2.05
Ti  0.5000  0.5000  0.0000  6 O 2.01-2.05
O  0.0879  0.7500  0.5259  2 Ta 2.02
O  0.2018  0.0459  0.7905  1 Ta 2.01, 1 Ti 2.05
O  0.2018  0.4541  0.7905  1 Ta 2.01, 1 Ti 2.05
O  0.2940  0.0440  0.2956  1 Ta 2.01, 1 Ti 2.04
O  0.2940  0.4560  0.2956  1 Ta 2.01, 1 Ti 2.04
O  0.4165  0.7500  0.0234  2 Ti 2.01
O  0.5835  0.2500  0.9766  2 Ti 2.01
O  0.7060  0.5440  0.7044  1 Ta 2.01, 1 Ti 2.04
O  0.7060  0.9560  0.7044  1 Ta 2.01, 1 Ti 2.04
O  0.7982  0.5459  0.2095  1 Ta 2.01, 1 Ti 2.05
O  0.7982  0.9541  0.2095  1 Ta 2.01, 1 Ti 2.05
O  0.9121  0.2500  0.4741  2 Ta 2.02

The calculation puts the total energy at -8.380 eV per atom. Its space-group type is P2_1/m (11). For the total moment, the calculation gives 0.03 μB per formula unit. Its formation energy is -3.447 eV per atom.

***

Compound: Ca4Zr3TaO12
Source: Materials Project
Functional: PBE
Structure: relaxed

a b c (Å): 5.6298 5.7998 8.0648
angles (deg): 90.46 90.04 90.11
With the nearest neighbours (Å) after each atom.
Element x y z (fractional)
Ca  0.0099  0.4493  0.2480  4 O 2.35-2.47
Ca  0.4879  0.9472  0.2481  4 O 2.34-2.47
Ca  0.5121  0.0528  0.7519  4 O 2.34-2.47
Ca  0.9901  0.5507  0.7520  4 O 2.35-2.47
Zr  0.0000  0.0000  0.0000  6 O 2.11-2.16
Zr  0.0000  0.0000  0.5000  6 O 2.12-2.13
Zr  0.5000  0.5000  0.5000  6 O 2.11-2.16
Ta  0.5000  0.5000  0.0000  6 O 2.04-2.05
O  0.1072  0.9614  0.7510  2 Zr 2.11-2.13, 1 Ca 2.34
O  0.1935  0.6950  0.4428  2 Zr 2.12-2.13, 1 Ca 2.35
O  0.2073  0.6966  0.0514  1 Ta 2.05, 1 Zr 2.16
O  0.3071  0.1966  0.4436  2 Zr 2.11-2.12, 1 Ca 2.36
O  0.3067  0.2119  0.0535  1 Ta 2.04, 1 Zr 2.16
O  0.4004  0.4644  0.7576  1 Ta 2.04, 1 Zr 2.16
O  0.5996  0.5356  0.2424  1 Ta 2.04, 1 Zr 2.16
O  0.6933  0.7881  0.9465  1 Ta 2.04, 1 Zr 2.16
O  0.6929  0.8034  0.5564  2 Zr 2.11-2.12, 1 Ca 2.36
O  0.7927  0.3034  0.9486  1 Ta 2.05, 1 Zr 2.16
O  0.8065  0.3050  0.5572  2 Zr 2.12-2.13, 1 Ca 2.35
O  0.8928  0.0386  0.2490  2 Zr 2.11-2.13, 1 Ca 2.34

The calculation puts the total energy at -8.391 eV per atom. Its space-group type is P-1 (2). For the total moment, the calculation gives 0.00 μB per formula unit. Its formation energy is -3.558 eV per atom.


[1]
# Ba2LiMn2O6 (PBE with a Hubbard U, relaxed)
# formation enthalpy at 0 K: -2.37 eV per atom
# energy above the most stable polymorph in this dataset: 0 meV/atom
# DFT total energy: -72.32 eV/cell
# spin magnetization: 7.00 Bohr magnetons per cell
data_Ba2LiMn2O6
_chemical_formula_sum 'Ba2 Li1 Mn2 O6'
- - -
(Here the article continues)

  Milford has been named the third fastest growing city in the state and with recent business openings, it is clear that more companies are looking at the town to either open a new business or add an additional location for their existing company. Much of this has to do with a population explosion in the area. In 2022, Milford’s …

Ashlee Cooper

State programs like EDGE help women-owned businesses grow

bshupeBusiness, Headlines

WILMINGTON — When Ashlee Cooper was offered the opportunity to return to the teaching job she lost during the pandemic, she declined because her toddler’s school hadn’t reopened yet. She opted instead to open an event-planning company. Her “ah-ha” moment came when someone saw her standing on a chair to photograph a balloon sculpture and suggested she use a drone …

EDGE Grants

(Here the article breaks off for crystal structures)
'''
Compound: BaBrCl
Source: the Materials Project database
Functional: PBE
Structure: relaxed

Energy in eV for the cell shown: -49.92
Distance to the lowest polymorph of the same formula in meV per atom: 48
ΔH_f (0 K) in meV/atom: -2563

a = 5.0624 Å, b = 8.1481 Å, c = 10.2863 Å
α = 90.00°, β = 90.00°, γ = 90.00°
Fractional positions:
Ba 0.2500 0.7283 0.5933
Ba 0.7500 0.7717 0.0933
Cl 0.2500 0.4969 0.3525
Ba 0.2500 0.2283 0.9067
Ba 0.7500 0.2717 0.4067
Br 0.7500 0.3615 0.0920
Br 0.7500 0.8615 0.4080
Br 0.2500 0.6385 0.9080
Cl 0.2500 0.9969 0.1475
Cl 0.7500 0.0031 0.8525
Cl 0.7500 0.5031 0.6475
Br 0.2500 0.1385 0.5920
'''

EDGE Grant webinar series offered

Terry RogersBusiness, Government, Headlines, Milford Headline Story

The Delaware Division of Small Business will offer two webinars to assist businesses in applying for the Encouraging Development, Growth and Expansion (EDGE) Program which will reopen on September 1. The program provides grants to five STEM-based companies who could receive up to $100,000 for eligible expenses while five Entrepreneur Class (non-STEM) companies could receive $50,000. The first webinar is …